Next, echo the whole of the entries below character by character.

Density functional theory data (PBE) for crystalline BaDyO3 at its relaxed geometry.

total moment	1.00	Bohr magnetons per cell
E (MP2020)	-36.969	eV/f.u.
total DFT energy (no corrections)	-0.2566	Ha/atom
formation energy from the elements	-15.60	eV per formula unit

Cell: 4.428 4.428 4.428 Å, 90.00 90.00 90.00°
Space group Pm-3m (No. 221)
Asymmetric unit:
1 Ba 0.000 0.000 0.000 (multiplicity 1)
2 Dy 0.500 0.500 0.500 (multiplicity 1)
3 O 0.000 0.500 0.500 (multiplicity 3)

* * * * *

Here is a relaxed structure of V3Ag from the Materials Project. Energies are from GGA-PBE. Values from VASP.

```
&SYSTEM
  ibrav = 0, nat = 4, ntyp = 2
/
ATOMIC_SPECIES
V 50.94 V.upf
Ag 107.87 Ag.upf
ATOMIC_POSITIONS crystal
V 0.750 0.250 0.500
V 0.250 0.750 0.500
V 0.500 0.500 0.000
Ag 0.000 0.000 0.000
CELL_PARAMETERS angstrom
-1.935 1.935 3.955
1.935 -1.935 3.955
1.935 1.935 -3.955
```

space-group type: No. 139
uncorrected energy: -7.15 eV per atom

* * * * *

Material: Ba2LiGe3
Method: DFT, PBE-GGA
State: relaxed

For the formation energy from the elements, the calculation gives -565 meV/atom. The value obtained for the energy is -3.83 eV per atom.

Cell and atoms, written as CIF:
```
data_Ba2LiGe3
_chemical_formula_sum 'Ba32 Li16 Ge48'
_cell_length_a 8.957
_cell_length_b 15.571
_cell_length_c 19.728
_cell_angle_alpha 90.00
_cell_angle_beta 90.00
_cell_angle_gamma 90.00
_symmetry_space_group_name_H-M 'F d d d'
_symmetry_Int_Tables_number 70
loop_
_symmetry_equiv_pos_as_xyz
'x,y,z'
'-x,-y,-z'
'-x+1/4,-y+1/4,z'
'x+1/4,y+1/4,-z'
'x,-y+1/4,-z+1/4'
'-x,y+1/4,z+1/4'
'-x+1/4,y,-z+1/4'
'x+1/4,-y,z+1/4'
'x,y+1/2,z+1/2'
'-x,-y+1/2,-z+1/2'
'-x+1/4,-y+3/4,z+1/2'
'x+1/4,y+3/4,-z+1/2'
'x,-y+3/4,-z+3/4'
'-x,y+3/4,z+3/4'
'-x+1/4,y+1/2,-z+3/4'
'x+1/4,-y+1/2,z+3/4'
'x+1/2,y,z+1/2'
'-x+1/2,-y,-z+1/2'
'-x+3/4,-y+1/4,z+1/2'
'x+3/4,y+1/4,-z+1/2'
'x+1/2,-y+1/4,-z+3/4'
'-x+1/2,y+1/4,z+3/4'
'-x+3/4,y,-z+3/4'
'x+3/4,-y,z+3/4'
'x+1/2,y+1/2,z'
'-x+1/2,-y+1/2,-z'
'-x+3/4,-y+3/4,z'
'x+3/4,y+3/4,-z'
'x+1/2,-y+3/4,-z+1/4'
'-x+1/2,y+3/4,z+1/4'
'-x+3/4,y+1/2,-z+1/4'
'x+3/4,-y+1/2,z+1/4'
loop_
_atom_site_label
_atom_site_type_symbol
_atom_site_fract_x
_atom_site_fract_y
_atom_site_fract_z
Ba1 Ba 0.125 0.125 0.001
Ba2 Ba 0.125 0.125 0.503
Li1 Li 0.125 0.293 0.125
Ge1 Ge 0.120 0.293 0.879
Ge2 Ge 0.125 0.289 0.625
```

Material: CeMnB4
Method: DFT, PBE-GGA
State: relaxed

For the formation energy from the elements, the calculation gives -588 meV/atom. The value obtained for the energy is -7.56 eV per atom.

Cell and atoms, written as CIF:
```
data_CeMnB4
_chemical_formula_sum 'Ce4 Mn4 B16'
_cell_length_a 5.941
_cell_length_b 11.496
_cell_length_c 3.505
_cell_angle_alpha 90.00
_cell_angle_beta 90.00
_cell_angle_gamma 90.00
_symmetry_space_group_name_H-M 'P b a m'
_symmetry_Int_Tables_number 55
loop_
_symmetry_equiv_pos_as_xyz
'x,y,z'
'-x,-y,-z'
'-x,-y,z'
'x,y,-z'
'x+1/2,-y+1/2,-z'
'-x+1/2,y+1/2,z'
'-x+1/2,y+1/2,-z'
'x+1/2,-y+1/2,z'
loop_
_atom_site_label
_atom_site_type_symbol
_atom_site_fract_x
_atom_site_fract_y
_atom_site_fract_z
Ce1 Ce 0.125 0.150 0.000
Mn1 Mn 0.129 0.414 0.000
B1 B 0.024 0.689 0.500
B2 B 0.111 0.545 0.500
B3 B 0.141 0.967 0.500
B4 B 0.221 0.817 0.500
```

Number 1: theoretical density 4.82 g/cm3. Number 2: theoretical density 6.61 g/cm3.

* * * * *

Here is a relaxed structure of LiFe2B2O6 from Materials Project. Energies are from PBE+U.

Values from the calculation:
For the total magnetization, the calculation gives 9.000 μB per formula unit. Its formation energy is -24.92 eV/f.u.

a = 5.259 Å, b = 9.119 Å, c = 10.094 Å
α = 88.90°, β = 89.25°, γ = 89.04°
Space group P1 (No. 1)
Asymmetric unit:
Li: 0.000 0.000 0.000 x1
Li: 0.003 0.001 0.489 x1
Li: 0.503 0.498 0.483 x1
Li: 0.855 0.840 0.739 x1
Fe: 0.007 0.340 0.959 x1
Fe: 0.343 0.668 0.716 x1
Fe: 0.353 0.006 0.216 x1
Fe: 0.496 0.175 0.464 x1
Fe: 0.513 0.820 0.967 x1
Fe: 0.841 0.508 0.215 x1
Fe: 0.855 0.179 0.711 x1
Fe: 0.988 0.675 0.457 x1
B: 0.007 0.338 0.459 x1
B: 0.019 0.670 0.958 x1

Density functional theory data (PBE) for crystalline BaDyO3 at its relaxed geometry.

total moment	1.00	Bohr magnetons per cell
E (MP2020)	-36.969	eV/f.u.
total DFT energy (no corrections)	-0.2566	Ha/atom
formation energy from the elements	-15.60	eV per formula unit

Cell: 4.428 4.428 4.428 Å, 90.00 90.00 90.00°
Space group Pm-3m (No. 221)
Asymmetric unit:
1 Ba 0.000 0.000 0.000 (multiplicity 1)
2 Dy 0.500 0.500 0.500 (multiplicity 1)
3 O 0.000 0.500 0.500 (multiplicity 3)

* * * * *

Here is a relaxed structure of V3Ag from the Materials Project. Energies are from GGA-PBE. Values from VASP.

```
&SYSTEM
  ibrav = 0, nat = 4, ntyp = 2
/
ATOMIC_SPECIES
V 50.94 V.upf
Ag 107.87 Ag.upf
ATOMIC_POSITIONS crystal
V 0.750 0.250 0.500
V 0.250 0.750 0.500
V 0.500 0.500 0.000
Ag 0.000 0.000 0.000
CELL_PARAMETERS angstrom
-1.935 1.935 3.955
1.935 -1.935 3.955
1.935 1.935 -3.955
```

space-group type: No. 139
uncorrected energy: -7.15 eV per atom

* * * * *

Material: Ba2LiGe3
Method: DFT, PBE-GGA
State: relaxed

For the formation energy from the elements, the calculation gives -565 meV/atom. The value obtained for the energy is -3.83 eV per atom.

Cell and atoms, written as CIF:
```
data_Ba2LiGe3
_chemical_formula_sum 'Ba32 Li16 Ge48'
_cell_length_a 8.957
_cell_length_b 15.571
_cell_length_c 19.728
_cell_angle_alpha 90.00
_cell_angle_beta 90.00
_cell_angle_gamma 90.00
_symmetry_space_group_name_H-M 'F d d d'
_symmetry_Int_Tables_number 70
loop_
_symmetry_equiv_pos_as_xyz
'x,y,z'
'-x,-y,-z'
'-x+1/4,-y+1/4,z'
'x+1/4,y+1/4,-z'
'x,-y+1/4,-z+1/4'
'-x,y+1/4,z+1/4'
'-x+1/4,y,-z+1/4'
'x+1/4,-y,z+1/4'
'x,y+1/2,z+1/2'
'-x,-y+1/2,-z+1/2'
'-x+1/4,-y+3/4,z+1/2'
'x+1/4,y+3/4,-z+1/2'
'x,-y+3/4,-z+3/4'
'-x,y+3/4,z+3/4'
'-x+1/4,y+1/2,-z+3/4'
'x+1/4,-y+1/2,z+3/4'
'x+1/2,y,z+1/2'
'-x+1/2,-y,-z+1/2'
'-x+3/4,-y+1/4,z+1/2'
'x+3/4,y+1/4,-z+1/2'
'x+1/2,-y+1/4,-z+3/4'
'-x+1/2,y+1/4,z+3/4'
'-x+3/4,y,-z+3/4'
'x+3/4,-y,z+3/4'
'x+1/2,y+1/2,z'
'-x+1/2,-y+1/2,-z'
'-x+3/4,-y+3/4,z'
'x+3/4,y+3/4,-z'
'x+1/2,-y+3/4,-z+1/4'
'-x+1/2,y+3/4,z+1/4'
'-x+3/4,y+1/2,-z+1/4'
'x+3/4,-y+1/2,z+1/4'
loop_
_atom_site_label
_atom_site_type_symbol
_atom_site_fract_x
_atom_site_fract_y
_atom_site_fract_z
Ba1 Ba 0.125 0.125 0.001
Ba2 Ba 0.125 0.125 0.503
Li1 Li 0.125 0.293 0.125
Ge1 Ge 0.120 0.293 0.879
Ge2 Ge 0.125 0.289 0.625
```

Material: CeMnB4
Method: DFT, PBE-GGA
State: relaxed

For the formation energy from the elements, the calculation gives -588 meV/atom. The value obtained for the energy is -7.56 eV per atom.

Cell and atoms, written as CIF:
```
data_CeMnB4
_chemical_formula_sum 'Ce4 Mn4 B16'
_cell_length_a 5.941
_cell_length_b 11.496
_cell_length_c 3.505
_cell_angle_alpha 90.00
_cell_angle_beta 90.00
_cell_angle_gamma 90.00
_symmetry_space_group_name_H-M 'P b a m'
_symmetry_Int_Tables_number 55
loop_
_symmetry_equiv_pos_as_xyz
'x,y,z'
'-x,-y,-z'
'-x,-y,z'
'x,y,-z'
'x+1/2,-y+1/2,-z'
'-x+1/2,y+1/2,z'
'-x+1/2,y+1/2,-z'
'x+1/2,-y+1/2,z'
loop_
_atom_site_label
_atom_site_type_symbol
_atom_site_fract_x
_atom_site_fract_y
_atom_site_fract_z
Ce1 Ce 0.125 0.150 0.000
Mn1 Mn 0.129 0.414 0.000
B1 B 0.024 0.689 0.500
B2 B 0.111 0.545 0.500
B3 B 0.141 0.967 0.500
B4 B 0.221 0.817 0.500
```

Number 1: theoretical density 4.82 g/cm3. Number 2: theoretical density 6.61 g/cm3.

* * * * *

Here is a relaxed structure of LiFe2B2O6 from Materials Project. Energies are from PBE+U.

Values from the calculation:
For the total magnetization, the calculation gives 9.000 μB per formula unit. Its formation energy is -24.92 eV/f.u.

a = 5.259 Å, b = 9.119 Å, c = 10.094 Å
α = 88.90°, β = 89.25°, γ = 89.04°
Space group P1 (No. 1)
Asymmetric unit:
Li: 0.000 0.000 0.000 x1
Li: 0.003 0.001 0.489 x1
Li: 0.503 0.498 0.483 x1
Li: 0.855 0.840 0.739 x1
Fe: 0.007 0.340 0.959 x1
Fe: 0.343 0.668 0.716 x1
Fe: 0.353 0.006 0.216 x1
Fe: 0.496 0.175 0.464 x1
Fe: 0.513 0.820 0.967 x1
Fe: 0.841 0.508 0.215 x1
Fe: 0.855 0.179 0.711 x1
Fe: 0.988 0.675 0.457 x1
B: 0.007 0.338 0.459 x1
B: 0.019 0.670 0.958 x1